13 ideas to help boost homework completion rates 🚀🚀🚀
When done well, homework offers a golden opportunity for students to consolidate and extend their knowledge, and develop good study habits. Homework also provides valuable insights to the teacher into student understanding. Best of all, homework can do all of this without eating into valuable lesson time. But in many of the schools I visit, homework is an issue.
Recently, I visited a school that had a maths online homework completion rate of 15% among Year 9 students. At my school, many years ago, we abandoned giving homework to some Year 10 classes because so few students were doing it, and instead used the homework sheets in class so our efforts to create them would not be wasted. The sad truth is that lots of students simply do not engage with homework at all, or put in whatever effort is just high enough to avoid the wrath of the teacher. And the old cliche rings true: often it is the very students who need to engage with homework the most that simply do not.
I have been thinking a lot about homework recently. Eedi, the platform I co-founded, allows teachers to set high-quality diagnostic maths quizzes for their students to complete, then provides bespoke support and challenge in the form of videos and practice questions depending on their responses. All of this is completely free, and you can access over 800 maths quizzes here.
With all the time, resources and money put into homework in its many guises - paper-based, online, etc - we need to make sure as many students as possible are engaging with it to the standard we expect. How? Well, here are 13 ideas that should help boost the number of students completing their homework.
1. Decide on the purpose of the homework, and communicate this purpose to your students
There are lots of reasons to set a piece of homework:
- To consolidate classwork
- To extend classwork
- To provide a retrieval opportunity for topics students encountered in the past
- To check students’ prerequisite knowledge for an upcoming topic
- To help students prepare for a test
- To allow students to be creative
- To help develop good study habits
Have a look at the next piece of homework you plan to give to your students. What is its purpose?
Once you have decided on this, the next step is to communicate that purpose to your students. If you were to ask a student in your class “Why do you think I give you homework?”, what do you think they would say? This is a useful exercise to try. If students think you are giving them homework just to keep them busy, because you have to, or because you are a narcissist, then they are unlikely to put the effort in that you hope. Whereas, if they understand the purpose of the homework, you might get a bit more buy-in.
2. Treat online homework just as seriously as you treat written homework
This is a big one, especially for maths teachers. It is so easy these days to set a homework on one of the many online platforms out there, and then sit back as the homework is marked for you. But students pick up on this “set and forget” approach, and low completion rates for online homework especially are sure to follow.
Think what you would do if a student did not complete a paper-based homework. Think what you would do if they produced a wonderful piece of written work. Think how you would use the results of a paper-based homework to inform your teaching. The more you can replicate this with online homework, the more students realise that online homework is just as important as any other, and the more effort they should put in.
3. Set shorter homeworks, more frequently
Research into homework is extensive, but often inconclusive. This is no surprise as there are so many influential variables that are hard to control for. But one thing that does come through from the research is that shorter, more frequent homeworks are likely to be more effective than longer, less frequent homeworks. In Fernández-Alonso et al’s 2015 paper, they conclude: The data point to the fact that the teacher regularly assigning homework matters more than the quantity.
A key reason for this is habit. The more homework students complete, the more completing homework becomes a part of their routine. So, if you want students to complete, say, 1 hour of homework a week, then breaking that up into two 30-minute homework set across the week is likely to lead to greater completion than a single 1-hour homework. How does this fit in with your homework policy?
4. Ensure the homework is worth completing
In their 2010 paper, Homework Works If Homework Quality Is High, Dettmers et al conclude: Our study provides strong evidence that interesting and well-selected homework assignments are associated with higher expectancy and value beliefs and with higher homework effort and that they are effective for learning.
The message here is clear. Students are more likely to complete homework if homework is worth completing. Homework quality is determined by factors such as the challenge level, how engaging it is, and crucially whether it serves the intended purpose. When I look back at some of the dross I set my students to complete in my early years of teaching, it is no wonder many students looked at it and decided not to bother. Are all your homework worth completing?
5. Establish the norm that everyone does their homework
Norms in school are so powerful. Few students want to be different from the crowd. So, to boost homework completion rates we need to establish the norm that everyone completes their homework.
In his book, Motivated Teaching, Peps Mccrea suggests we do this by increasing the profusion and prominence of the behaviour we want to become the norm. Maths teacher, Beth Kearns, has a great blog post on using the profusion and prominence of norms to boost homework completion. Here are some of her ideas:
- Initial contact with parents – all year 7 parents were contacted to inform them of expectations, the new homework day and the dates that subsequent homeworks were due in. Profusion.
- Parents were contacted each week if their child had not completed their homework. Profusion.
- Prior to the first week of homework being set, all year 7 students were given the opportunity during a maths lesson to log onto Sparx in order to correct any issues with forgotten logins etc. Profusion.
- Lots of “air time” given to celebrating homework completion. Each week I visited year 7 form groups and publicly celebrated those students who had engaged with homework. Prominence.
- I privately targeted groups of students who had not engaged and helped to discuss and break down any barriers. Profusion.
- We celebrated (and sent reminders regarding) the homework completion via the schools Instagram page (we get high levels of parental engagement with this) for example, “Well done to the 75% of year 7 students who did Sparx homework last week”. I hoped that this would encourage further conversations at home with parents checking if their child was ‘safely’ in the 75%. Profusion and Prominence.
- I asked form tutors and class teachers to both celebrate the successful homework each week, and remind students of when the next homework was due in. Profusion and Prominence.
Which of these do you currently implement? Which could you implement?
6. Consider barriers students might experience and how you can remove them
Here are some barriers students may face in completing their homework:
- Lack of equipment
- Lack of technology
- Log-in issues!
- Lack of time
- Poor organisational skills
- Lack of support
- No suitable environment to do the work
Which of these barriers can you help reduce? Homework clubs, maths mentors, and products that remind students and parents of when homework is due can all help.
7. Make the first question easy
In their paper, Understanding performance in test taking: The role of question difficulty order, Anaya et al show just how important stating a test with an easy question is. It can reduce the drop-out rate from around 45% to 30%, and increase the percentage of correct answers across the entire test from around 25% to 35%
And for homework - when students do not have the motivating factors of a teacher nearby watching - this impact could be even greater. Fortunately, this is a quick win. Make the first question of every homework the easiest one - possibly even too easy compared to the rest of the homework - in order to give students the boost they may need to get started and persist. How often do you do this?
8. Have something students can do if they are stuck on their homework
Teacher: Why haven’t you done your homework?
Student: Because I got stuck
Where do you go from there? It is important to have a plan for what students should do if they are stuck on their homework. Here are some options:
- Is there a link to a video?
- Do they have access to the final answers?
- Can they collaborate with a classmate?
- Is there a student maths mentor they can ask?
- Is there a homework club?
- Is there a designated time they can come and see you?
What do you expect your students to do when they are stuck on their homework?
9. Make sure students know what to do if they are stuck on their homework
Last week, I overheard a student telling a teacher they hadn’t done their homework because they got stuck. The teacher asked why they hadn’t come to homework club. The student replied that they didn’t know there was a homework club.
Of course, it is one thing having these protocols in place, but a whole other making sure students are aware of them. This needs clearly explaining, and then regularly revisiting. Do you do this?
10. Standardise the format of homework
If homework always looks different, then students need to consider both the structure of the homework and the content of the homework. This could be overwhelming, and may lead to students opting out. Instead, if homework always has a familiar structure - say, always set out the same way, with the same number of questions, that they answer in the same place - then students can divert more of their attention to thinking about the content of the homework, which should lead to them being more successful with the homework. Do your homework have a consistent structure?
11. Hand the homework out and collect the homework in on the same day and same time each week
Here we have routines again. If homework is sometimes handed out on a Tuesday and due in on a Friday, but then other weeks it is handed out on Thursday and due in on a Monday, then the routine for completing homework does not become familiar, and hence it does not become embedded. This routine becomes even more robust if it is replicated across the whole department. Do your classes have a consistent homework routine?
12. Have consistent sanctions for when homeworks are not completed
Here the article breaks off for crystal structures >
____________
# 1
Material: Y12Tm6In
Method: DFT, PBE
State: relaxed

a = 8.452 Å, b = 8.452 Å, c = 8.452 Å
α = 88.74°, β = 88.74°, γ = 88.74°
Element x y z (fractional)
Y 0.039 0.283 0.934
Y 0.066 0.961 0.717
Y 0.135 0.324 0.486
Y 0.283 0.934 0.039
Y 0.324 0.486 0.135
Y 0.486 0.135 0.324
Y 0.514 0.865 0.676
Y 0.676 0.514 0.865
Y 0.717 0.066 0.961
Y 0.865 0.676 0.514
Y 0.934 0.039 0.283
Y 0.961 0.717 0.066
Tm 0.214 0.598 0.759
Tm 0.241 0.786 0.402
Tm 0.402 0.241 0.786
Tm 0.598 0.759 0.214
Tm 0.759 0.214 0.598
Tm 0.786 0.402 0.241
In 0.500 0.500 0.500

Calculated values
- calculated volume (Å³ per atom) = 31.75
- SG = No. 148
- formation energy (meV/atom) = 67
- excess energy over the best structure of this formula in the dataset (eV/atom) = 0.0000
- M_tot (μB per cell) = 0.0

---

# 2
Material: KMgBr2
Method: DFT, PBE
State: relaxed

a = 11.632 Å, b = 11.632 Å, c = 11.632 Å
α = 20.04°, β = 20.04°, γ = 20.04°
Element x y z (fractional)
K 0.000 0.000 0.000
Mg 0.500 0.500 0.500
Br 0.124 0.124 0.124
Br 0.876 0.876 0.876

Calculated values
- calculated volume (Å³ per atom) = 40.43
- SG = No. 166
- excess energy over the best structure of this formula in the dataset (eV/atom) = 0.1144
- M_tot (μB per cell) = 0.0
- formation energy from raw total energies (eV/f.u.) = -4.127

---

# 3
Material: TaAs2Pt
Method: DFT, PBE
State: relaxed

a = 4.921 Å, b = 4.921 Å, c = 4.409 Å
α = 104.48°, β = 104.48°, γ = 40.79°
Element x y z (fractional)
Ta 0.000 0.000 0.000
As 0.490 0.490 0.490
As 0.733 0.733 0.110
Pt 0.235 0.235 0.624

Calculated values
- calculated volume (Å³ per atom) = 16.80
- SG = No. 8
- formation energy (meV/atom) = -230
- excess energy over the best structure of this formula in the dataset (eV/atom) = 0.0723
- M_tot (μB per cell) = 0.0

---

# 4
Material: In3AsP2
Method: DFT, PBE
State: relaxed

a = 7.380 Å, b = 7.380 Å, c = 7.378 Å
α = 99.59°, β = 99.59°, γ = 120.01°
Element x y z (fractional)
In 0.083 0.917 0.500
In 0.235 0.744 0.999
In 0.399 0.575 0.490
In 0.575 0.399 0.990
In 0.744 0.235 0.499
In 0.917 0.083 0.000
As 0.533 0.701 0.872
As 0.701 0.533 0.372
P 0.034 0.200 0.372
P 0.200 0.034 0.872
P 0.366 0.869 0.371
P 0.869 0.366 0.871

Calculated values
- calculated volume (Å³ per atom) = 27.34
- SG = No. 9
- formation energy (meV/atom) = -220
- M_tot (μB per cell) = 0.0

---

# 5
Material: Si2PtAuO
Method: DFT, PBE
State: relaxed

a = 4.853 Å, b = 4.853 Å, c = 3.816 Å
α = 90.00°, β = 90.00°, γ = 90.00°
Element x y z (fractional)
Si 0.000 0.500 0.000
Si 0.500 0.000 0.000
Pt 0.000 0.000 0.000
Au 0.500 0.500 0.500
O 0.000 0.000 0.500

Calculated values
- calculated volume (Å³ per atom) = 17.97
- SG = No. 123
- M_tot (μB per cell) = 0.4
- formation energy from raw total energies (eV/f.u.) = 1.810

---

# 6
Material: Rb2Cu2PdI6
Method: DFT, PBE
State: relaxed

a = 8.374 Å, b = 8.374 Å, c = 8.374 Å
α = 59.26°, β = 59.26°, γ = 59.26°
Element x y z (fractional)
Rb 0.242 0.242 0.242
Rb 0.758 0.758 0.758
Cu 0.437 0.437 0.437
Cu 0.563 0.563 0.563
Pd 0.000 0.000 0.000
____________
Sanctions are, unfortunately, an important part of creating a routine. What happens if students do not complete their homework up to the standard you expect? Is it:
- A detention?
- A phone call home?
- Students named and shamed in class?
- A different sanction?
Consistency is the key here. As soon as students see you are not always following through, it is another reason for them not to complete their homework.
13. Ensure homework feeds into lessons
I have saved the most important until last. If students regard homework as something separate from what happens in class, then it is very easy to not take it as seriously, hence completion rates fall. This could be the “set and forget” we discussed earlier with online homework, but equally, it could be when teachers had out homework at the start of the lesson, kids have a quick flick through to see their score, and then the teacher cracks on with the lesson.
If however, classwork and homework are regarded as two key components of the same machine that feed into and mutually reinforce each other, then you stand a much better chance of students buying into homework.
So, you could:
- Choose the three worst-answered questions and address them at the start of the lesson, modelling how to complete them and then checking students’ understanding with related questions
- Take photos of students’ homework and showcase them at the start of the next lesson, challenging students to identify the error, improve the work, or identify the feautes that make this an example of excellence
- Set the Do Now on topics, or even questions, from the homework as a way to judge the effort students have put in. This is what Adam Boxer does.
How does homework feed into your lessons?
I will be talking more about making homework effective at Marvellous Maths 3 in October, so make sure you have your ticket. And a reminder that Eedi can be your complete in-class and homework solution for free. Visit eedi.com to get started.